Sometimes, I smile. Sometimes, I wince.
And then there’s the times... well... you know...
I like to call this portion of our trip: Don’t Make Me Call The Dance Police.

How many dancers does it take to screw in a light bulb? Five.

If you pop a stitch, use a clean needle. Sharing needles with creepy cemetery dollies will get you a bug.

After conquering Paris, Hitler liked to dress up in drag and do backflips under the Eiffel Tower.

I just like saying "Willo's Weenie Wagon."

It seems that Lynxa goes through partners on a weekly basis.

Did a zoo explode?

Keith Moon: The Early Years

"Who triggered the damn fire sprinklers?"

Mer... MAN!!!!!

I wish my bus stop was this cool. Last time I was there, a bum had vomited on half a burrito plate.


Ketchup vs. Mustard: The Final Battle

I want this in my front yard. (The jockey gets me hatemail for some reason.)

The piano tuner is here.

Sunday Morning Astronomy Lessons

Nothing like a pagan summoning ritual to bring in the crowds.

FACT: Interstate 42 is the Freeway Of Love. If the hairpin turns don't kill you, the dancers will.

Obligatory butt shot.

Nice murdering, but you know I'm shooting pictures, right?

They're raising the flag. (Unlike the NFL, who wants to lower it and burn it.)

Letti learns the spell Fire Whip

Larah's still working on it.

Ahem... ahem... you do know the routine's still going, right?

Still waiting... waiting...

Kinda like Henry Gibson on Laugh In. Except hotter. Way hotter.

Welcome to Heaven. Just go up these stairs. Up these stairs... Up... okay, you can just stand there and stare.

The garden shows on Czech TV are weird.

Ask about the arrow, and you get smacked.

## Unrelated to this text: materials data
┌──
Entry 1:
Starting from the PBE geometry in the Materials Project, the powder diffraction line list of Ti3Ni was calculated for Cu Kα (λ = 1.5418 Å).
Intensities are scaled so that the largest is 1000.

Most intense lines, 2θ from 10° to 90°, in order of rising 2θ:
d 4.716, 18.82 deg, rel. 32
d 2.358, 38.16 deg, rel. 241
d 2.312, 38.95 deg, rel. 305
d 2.101, 43.06 deg, rel. 1000
d 1.651, 55.67 deg, rel. 146
d 1.362, 68.98 deg, rel. 141
d 1.290, 73.37 deg, rel. 177
d 1.173, 82.15 deg, rel. 167
d 1.156, 83.63 deg, rel. 27
d 1.143, 84.87 deg, rel. 114

Structure:
Cell lengths 5.4460, 5.4460, 4.6249 Å; angles 90.00, 90.00, 120.00 degrees
Atoms (fractional coordinates):
Ti (0.1730, 0.3461, 0.2500)
Ti (0.1730, 0.8270, 0.2500)
Ti (0.3461, 0.1730, 0.7500)
Ti (0.6539, 0.8270, 0.2500)
Ti (0.8270, 0.1730, 0.7500)
Ti (0.8270, 0.6539, 0.7500)
Ni (0.3333, 0.6667, 0.7500)
Ni (0.6667, 0.3333, 0.2500)

***

Entry 2:
Starting from the PBE geometry in the Materials Project, the powder diffraction line list of PuSbTe was calculated for Cu Kα (λ = 1.5418 Å).
Intensities are scaled so that the largest is 1000.

Most intense lines, 2θ from 10° to 90°, in order of rising 2θ:
d 3.907, 22.76 deg, rel. 415
d 3.066, 29.13 deg, rel. 358
d 3.007, 29.71 deg, rel. 378
d 2.903, 30.81 deg, rel. 668
d 2.535, 35.40 deg, rel. 1000
d 2.471, 36.36 deg, rel. 495
d 2.168, 41.67 deg, rel. 566
d 1.758, 52.01 deg, rel. 318
d 1.629, 56.47 deg, rel. 284
d 1.312, 71.99 deg, rel. 259

Structure:
Cell lengths 4.3354, 4.3354, 9.0203 Å; angles 90.00, 90.00, 90.00 degrees
Atoms (fractional coordinates):
Pu (0.2500, 0.2500, 0.2206)
Pu (0.7500, 0.7500, 0.7794)
Sb (0.2500, 0.7500, 0.5000)
Sb (0.7500, 0.2500, 0.5000)
Te (0.2500, 0.2500, 0.8618)
Te (0.7500, 0.7500, 0.1382)

***

Entry 3:
Starting from the PBE geometry in the Materials Project, the powder diffraction line list of MgSb2 was calculated for Cu Kα (λ = 1.5418 Å).
Intensities are scaled so that the largest is 1000.

Most intense lines, 2θ from 10° to 90°, in order of rising 2θ:
d 4.003, 22.21 deg, rel. 1000
d 3.019, 29.59 deg, rel. 345
d 2.971, 30.08 deg, rel. 288
d 2.831, 31.61 deg, rel. 641
d 2.815, 31.79 deg, rel. 729
d 2.669, 33.58 deg, rel. 292
d 2.597, 34.53 deg, rel. 419
d 2.545, 35.26 deg, rel. 586
d 2.513, 35.72 deg, rel. 505
d 1.980, 45.82 deg, rel. 533

Structure:
Cell lengths 6.4871, 6.4871, 8.3333 Å; angles 105.58, 105.58, 28.72 degrees
Atoms (fractional coordinates):
Mg (0.1338, 0.1338, 0.0062)
Mg (0.8662, 0.8662, 0.9938)
Sb (0.2254, 0.2254, 0.7050)
Sb (0.4694, 0.4694, 0.7235)
Sb (0.5306, 0.5306, 0.2765)
Sb (0.7746, 0.7746, 0.2950)

***

Entry 4:
Starting from the PBE geometry in the Materials Project, the powder diffraction line list of ZnCdSe2 was calculated for Cu Kα (λ = 1.5418 Å).
Intensities are scaled so that the largest is 1000.

Most intense lines, 2θ from 10° to 90°, in order of rising 2θ:
d 3.450, 25.83 deg, rel. 1000
d 2.114, 42.77 deg, rel. 488
d 2.109, 42.89 deg, rel. 252
d 1.806, 50.53 deg, rel. 143
└──

Halfway through GB, Sho goes for a smoke. And forgets her cigarettes. And locks herself out.

Um, what are you feeling exactly?

Today's Forecast: A lot of fire!

It's important to stretch every muscle before performing. Including the tongue.

That's one big goddamned drink, man. (I'll take two.)

Purple... gas... choking... me...

No, Devlin, seriously. You can leave your hat on.

Yes, all of these hats are on sale. And they were blocked by Devlin.

Yes, I see a George the Pirate story coming from this one.

Ms. Pac Man's gotten so weird these days.

Nothing says style like dancing on a wad of sour cream. Mmmmmmmmmmm.

Now THIS is how you sell a mattress!

The bathrooms at the Ritz-Calrton were so fancy! Just like this!

So, Dancing Metaharper was missing from Idle Rogue for a while, and I just wanted to explain why. She was paying me a visit on Edloe. Nothing wrong with that. Totally innocent.

Okay! well, I guess that'll clear her animation cache!
(How the hell did that get into the roll?) That's enough for this week!
Thank you, and stay tuned next Sunday for the next thrilling episode.
"Hey. It's Cave. Someone's not daaaancing. Come on. You know the law - testing IS NOT a dance exemption. Don't make me call the dance police"
- Cave Johnson, Portal 2 Perpetual Testing Initiative Expansion Pack.
(So, who wants to do a Caption Contest? Prizes! Rules! Let's see a show of hands!)